Nuclear Fusion:

Nuclear fusion is the process by which nuclear reactions between light elements form heavier ones (up to iron). Substantial amounts of energy are released in cases where the interacting nuclei belong to elements with low atomic numbers.

Calculated crystals that have nothing to do with the page:
____________
A plane-wave DFT calculation with GGA-PBE was carried out for KCr2Ir after structural relaxation.

Results
Energy above the most stable polymorph in this dataset ... 0.100 eV/atom
M_tot ... 0.00 μB/f.u.
Mass density ... 6.57 Mg/m³

Lattice parameters (Å, degrees): 9.1438 2.9007 6.4148 90.00 95.27 90.00
With the nearest neighbours (Å) after each atom.
Space group C2/m (No. 12)
One atom of each set of equivalent atoms:
K 0.0000 0.0000 0.0000 x2  2 K 2.90
Cr 0.2227 0.0000 0.6079 x4  2 Cr 2.10
____________
End of the calculated crystals:

In 1939 the physicist Hans A. Bethe suggested that much of the energy output of the Sun and other stars results from energy-releasing fusion reactions in which four hydrogen nuclei unite and form one helium nucleus. During the early 1950s American researchers produced the hydrogen bomb by inducing fusion reactions in a mixture of the heavy hydrogen isotopes deuterium and tritium, the reactions being ignited by the extremely high temperatures created in the fission reaction of an atomic bomb. More recently, scientists have sought to devise a practical method of controlled nuclear fusion, in which deuterium and tritium nuclei would combine to form helium nuclei under controlled high temperatures rather than in the uncontrollable heat of a detonating atomic bomb. Controlled nuclear fusion would provide a relatively inexpensive alternative energy source for electric-power generation and thereby help conserve the world's dwindling supply of oil, natural gas, and coal. Fusion also would be more advantageous than nuclear fission (q.v.), another kind of energy-producing nuclear reaction that occurs when a heavy nucleus such as the isotope uranium-235 absorbs a neutron, becomes unstable, and splits into two lighter nuclei. Deuterium, the primary fuel for a fusion-power system, is far more abundant and cheaper than any of the materials required for fission reactions, since it can be extracted from ordinary water. (Eight gallons of water contain about one gram of deuterium, which has an energy content equivalent to roughly 9,500 litres [2,500 gallons] of gasoline.) Many experts, however, believe that controlled fusion will not be achieved for some years because of various technical difficulties.

These materials data were left in the piece by mistake:
┌──
{"formula": "DyMgNp", "functional": "PBE", "state": "relaxed", "energy_ev_per_atom": -5.215, "sg": "F-43m, No. 216", "cell": [[0.000, 3.636, 3.636], [3.636, 0.000, 3.636], [3.636, 3.636, 0.000]], "species": ["Dy", "Mg", "Np"], "frac_coords": [[0.000, 0.000, 0.000], [0.250, 0.250, 0.250], [0.750, 0.750, 0.750]]}

~~~~~

Nd2ZnPt5Rh2 | PBE | optimized geometry

## Properties
- DFT formation energy: -641 meV per atom
- Calculated total energy: -6.212 eV/atom
- Space-group type: P4/mbm

Cell lengths 4.0950, 9.4876, 9.4876 Å; angles 90.00, 90.00, 90.00 degrees
Fractional coordinates of all 20 atoms:
Zn 0.0000 0.0000 0.0000
Zn 0.0000 0.5000 0.5000
Pt 0.5000 0.1985 0.0597
Pt 0.5000 0.4403 0.3015
Pt 0.5000 0.9403 0.1985
Pt 0.5000 0.0597 0.8015
Pt 0.5000 0.5000 0.0000
Pt 0.5000 0.3015 0.5597
Pt 0.5000 0.0000 0.5000
Pt 0.5000 0.5597 0.6985
Pt 0.5000 0.8015 0.9403
Pt 0.5000 0.6985 0.4403
Rh 0.0000 0.3721 0.1279
Rh 0.0000 0.8721 0.3721
Rh 0.0000 0.6279 0.8721
Rh 0.0000 0.1279 0.6279
Nd 0.0000 0.3285 0.8285
Nd 0.0000 0.1715 0.3285
Nd 0.0000 0.6715 0.1715
Nd 0.0000 0.8285 0.6715

Pm2Rh2Au | PBE | optimized geometry

## Properties
- DFT formation energy: -728 meV per atom
- Calculated total energy: -6.224 eV/atom
- Polymorph energy (0 for the lowest one): 0.000 eV/atom
- Space-group type: P4/mbm

Cell lengths 3.8972, 7.4470, 7.4470 Å; angles 90.00, 90.00, 90.00 degrees
Fractional coordinates of all 10 atoms:
Pm 0.5000 0.8268 0.3268
Pm 0.5000 0.3268 0.1732
Pm 0.5000 0.6732 0.8268
Pm 0.5000 0.1732 0.6732
Au 0.0000 0.5000 0.5000
Au 0.0000 0.0000 0.0000
Rh 0.0000 0.6315 0.1315
Rh 0.0000 0.3685 0.8685
Rh 0.0000 0.8685 0.6315
Rh 0.0000 0.1315 0.3685

TiInCl3 | PBE | optimized geometry

## Properties
- Calculated total energy: -4.426 eV/atom
- Polymorph energy (0 for the lowest one): 0.000 eV/atom
- Space-group type: Pnma
- Uncorrected formation energy: -1.191 eV/atom

Cell lengths 3.3715, 8.9107, 15.9557 Å; angles 90.00, 90.00, 90.00 degrees
Fractional coordinates of all 20 atoms:
Ti 0.7500 0.8895 0.0414
Ti 0.7500 0.3895 0.4586
Ti 0.2500 0.1105 0.9586
Ti 0.2500 0.6105 0.5414
In 0.7500 0.0039 0.6677
In 0.2500 0.4961 0.1677
In 0.7500 0.5039 0.8323
In 0.2500 0.9961 0.3323
Cl 0.7500 0.3097 0.9928
Cl 0.7500 0.4435 0.6091
Cl 0.7500 0.7655 0.1883
Cl 0.7500 0.8097 0.5072
Cl 0.2500 0.2345 0.8117
Cl 0.7500 0.2655 0.3117
Cl 0.2500 0.6903 0.0072
Cl 0.7500 0.9435 0.8909
Cl 0.2500 0.1903 0.4928
Cl 0.2500 0.5565 0.3909
Cl 0.2500 0.0565 0.1091
Cl 0.2500 0.7345 0.6883

Magnetic moment for every record listed, in sequence, given in Bohr magnetons per cell: 0.000, 0.000, 0.000.

~~~~~

# 1
BaPCO2 PBE optimized geometry; DOS(E_F) = 4.87 states/eV/cell; space group = No. 123; raw total energy = -3.67 eV per atom; polymorph energy (0 for the lowest one) = 1503.1 meV per atom
1.0
-0.932 -2.859 -3.202
2.612 -2.978 1.898
-6.158 -2.715 4.216
P O Ba C
1 2 1 1
Direct
0.000 0.000 0.500 P
0.000 0.500 0.000 O
0.500 0.000 0.000 O
0.000 0.000 0.000 Ba
0.500 0.500 0.500 C

***

# 2
└──

A fusion reaction can occur only if two nuclei approach each other within a distance on the order of 10-13 centimetre. At such a short distance it is possible for the nuclear forces of attraction to overcome the electrostatic forces of repulsion that result from the presence of positive electric charges on both nuclei. Because the forces of repulsion are so effective in keeping nuclei apart, reactions useful for controlled fusion seem largely limited to deuterium and tritium, nuclei with the lowest possible charge. Controlled energy-releasing reactions can be produced by heating a plasma (gas consisting of unbound electrons and an equal number of positively charged nuclei) of a deuterium-tritium mixture to many millions of degrees kelvin. Such high temperatures will not only induce but also sustain thermonuclear reactions so as to produce enough energy for electric-power generation. However, it has proved extremely difficult to contain plasmas at the high temperature levels required to achieve self-sustaining fusion reactions because the hot gases tend to expand and escape from the enclosing structure. Large-scale fusion reactor experiments have been conducted in various countries, including the United States and Russia, in an effort to develop a means of overcoming this problem.

Attached: calculated crystals >
/*
The following is a DFT calculation (GGA-PBE) of Pr2Sm after structural relaxation.

Summary:
Theoretical density ... 6.6 g/cm³
Energy of formation ... 0.764 eV/f.u.
Energy above the most stable polymorph in this dataset ... 0.239 eV/atom

a = 9.5552 Å, b = 9.5552 Å, c = 9.5552 Å
α = 90.00°, β = 90.00°, γ = 90.00°
Space group Fd-3m (No. 227, origin choice 2)
One atom of each set of equivalent atoms:
Pr 0.0000 0.0000 0.0000
Sm 0.1250 0.1250 0.6250
*/
Back to the article >

Excerpt from the Encyclopedia Britannica without permission.